A Laravel Package to integrate Nette Tracy Debugger
The ultimate debugging and development tool for ProcessWire
Mail panel for Nette framework
Profiler with adapter for Tracy
Annotations Todo panel for Nette 2.0. Displays all todos in any folders set.
Universal logging support to Tracy / Nette Framework (@nette)
Integrates Tracy into Monolog, supports uploading Tracy bluescreens to AWS S3
Tracy panel with installed libraries version
Panel for Nette Framework DebugBar
XDebug Trace panel for Nette 2.0 framework
Complete integration of Monolog as native Tracy logger.
Simple extension for Nette Framework, which integrates into the Debug Bar and enables you to easily start and stop a Xdebug session.
Tuned Tracy Bars/Panels/BlueScreens for easy-developing
Query panel for Tracy php debugger
Nette Sentry logger extension
Chrome extension which opens Nette Framework error page when X-Nette-Error-Log header is set
Tracy got an angry pet to remind you of your failures
A panel for Tracy, that traces PSR HTTP messages travelling between your PHP backend and other HTTP servers.
NavigationPanel for Nette 2.0. Fast navigation for developers.
Debug panel for Nette Framework. Displays presenter and components hiearchy.
🔴 First class integration of Sentry to Nette Framework (@nette)
Log your errors directly into Slack room
Tracy performance panel
[ABANDONED] This is nette implementation of sentry raven-php as logger service for tracy.
Nette MailPanel Extension
Debug bar panel for Nette Framework
Debugger panel for Tracy
# The entry is interrupted by calculated crystals
+++
# 1
This entry pairs a crystal structure of Cs2Ac2ZrSe6 with its theoretical XRD peak list. Radiation: Cu Ka. Structure: a crystal structure in Alexandria, relaxed with GGA-PBE.

abc: 7.561 7.561 8.944
angles: 98.45 98.45 119.11
Positions (direct):
Cs 0.172 0.828 0.000
Cs 0.828 0.172 0.000
Ac 0.334 0.666 0.500
Ac 0.666 0.334 0.500
Zr 0.000 0.000 0.500
Se 0.064 0.363 0.686
Se 0.231 0.231 0.315
Se 0.363 0.064 0.686
Se 0.637 0.936 0.314
Se 0.769 0.769 0.685
Se 0.936 0.637 0.314

The 10 most intense peaks (10° ≤ 2θ ≤ 90°), low angle first:
10.3 deg, d 8.560, rel. 66
20.8 deg, d 4.280, rel. 14
27.0 deg, d 3.297, rel. 48
27.4 deg, d 3.254, rel. 100
34.1 deg, d 2.630, rel. 16
36.6 deg, d 2.455, rel. 17
36.7 deg, d 2.450, rel. 31
41.0 deg, d 2.202, rel. 33
41.6 deg, d 2.173, rel. 16
50.3 deg, d 1.814, rel. 16



# 2
This entry pairs a crystal structure of CsAcTe4 with its theoretical XRD peak list. Radiation: Cu Ka. Structure: a crystal structure in Alexandria, relaxed with GGA-PBE.

abc: 7.168 7.168 9.874
angles: 90.00 90.00 90.00
Positions (direct):
Cs 0.250 0.250 0.000
Cs 0.750 0.750 0.000
Ac 0.250 0.250 0.500
Ac 0.750 0.750 0.500
Te 0.111 0.611 0.294
Te 0.111 0.889 0.706
Te 0.389 0.611 0.706
Te 0.389 0.889 0.294
Te 0.611 0.111 0.706
Te 0.611 0.389 0.294
Te 0.889 0.111 0.294
Te 0.889 0.389 0.706

The 10 most intense peaks (10° ≤ 2θ ≤ 90°), low angle first:
25.2 deg, d 3.537, rel. 100
29.3 deg, d 3.049, rel. 65
30.8 deg, d 2.900, rel. 40
33.3 deg, d 2.689, rel. 14
39.2 deg, d 2.296, rel. 15
39.8 deg, d 2.267, rel. 43
46.4 deg, d 1.956, rel. 16
54.5 deg, d 1.684, rel. 24
55.0 deg, d 1.670, rel. 19
57.7 deg, d 1.599, rel. 17



# 3
This entry pairs a crystal structure of Cs2AcTe4 with its theoretical XRD peak list. Radiation: Cu Ka. Structure: a crystal structure in Alexandria, relaxed with GGA-PBE.

abc: 10.530 10.530 5.273
angles: 90.00 90.00 142.85
Positions (direct):
Cs 0.192 0.808 0.000
Cs 0.808 0.192 0.000
Ac 0.500 0.500 0.500
Te 0.067 0.933 0.500
Te 0.392 0.608 0.000
Te 0.608 0.392 0.000
Te 0.933 0.067 0.500

The 10 most intense peaks (10° ≤ 2θ ≤ 90°), low angle first:
18.8 deg, d 4.725, rel. 17
19.0 deg, d 4.662, rel. 66
24.6 deg, d 3.625, rel. 19
26.6 deg, d 3.354, rel. 51
31.1 deg, d 2.876, rel. 100
32.9 deg, d 2.723, rel. 34
34.0 deg, d 2.636, rel. 27
34.2 deg, d 2.625, rel. 21
43.7 deg, d 2.073, rel. 27
49.8 deg, d 1.830, rel. 27



# 4
This entry pairs a crystal structure of CsAc2UTe5 with its theoretical XRD peak list. Radiation: Cu Ka. Structure: a crystal structure in Alexandria, relaxed with GGA-PBE.

abc: 9.571 9.571 9.571
angles: 145.04 128.11 64.11
Positions (direct):
Cs 0.000 0.000 0.000
Ac 0.297 0.797 0.500
Ac 0.703 0.203 0.500
U 0.500 0.500 0.000
Te 0.115 0.351 0.764
Te 0.413 0.649 0.764
Te 0.500 0.000 0.500
Te 0.587 0.351 0.236
Te 0.885 0.649 0.236

The 10 most intense peaks (10° ≤ 2θ ≤ 90°), low angle first:
11.9 deg, d 7.442, rel. 59
21.7 deg, d 4.092, rel. 75
26.9 deg, d 3.314, rel. 27
29.5 deg, d 3.026, rel. 22
+++
A Tracy panel for Twig Template Engine
Panel for Nette Debug bar which quickly tells you which database you use
git panel extension for nette framework
Provides interface to go to any destination within Nette Framework application.
A Tracy panel for visualising Nette application component tree.
A simple class to add RedBeanPHP logged queries to Tracy's debug bar.
Git version panel for Tracy
A Tracy panel for Doctrine SQL queries
☠️ DumpAndDie: Laravel's dd function ported to Nette Tracy
Tracy Bluescreen panel for Guzzle.
Debug panel for Nette Framework and PhpEd (allows enabling/disabling PhpEd debugger)
Tracy extension - for automatic page update through LiveReload
Sentry extension for Nette framework
RolePanel is extension for Nette Framework which change user roles in development mode, where it appears in the debugger bar.
simple bar panel for Tracy
Displays current Git branch on Tracy debug panel
Nette Application Logger for New Relic
Database updator for Nette/Tracy panel